Make QSAR model with PyG and pytorch2.0 #RDKit #Chemoinfo

### Misplaced data records
=====
Entry 1:
Below is C34H95O15S12Tl as an isolated structure, with properties calculated with ωB97M-V/def2-TZVPD.

```
! RIJCOSX wB97M-V def2-TZVPD def2/J DEFGRID3
* xyz 0 1
Tl 2.448 -0.941 0.258
C 2.547 -6.113 -1.542
C 3.032 -4.910 -0.767
O 2.255 -3.780 -0.759
H 3.267 -6.928 -1.470
H 2.474 -5.768 -2.573
H 1.531 -6.407 -1.280
H 3.997 -4.759 -1.250
H 3.290 -5.274 0.228
O 1.201 1.342 1.747
C -0.216 1.395 1.767
C -0.902 0.856 0.419
O -0.517 -0.437 -0.103
H -0.566 2.410 1.954
H -0.538 0.786 2.612
H -0.708 1.583 -0.370
H -1.960 0.957 0.660
C 6.362 2.640 1.062
S 6.298 0.952 1.826
O 4.906 0.429 1.504
C 7.339 0.252 0.429
H 7.352 3.085 1.160
H 5.673 3.096 1.773
H 5.900 2.682 0.075
H 8.303 0.720 0.233
H 6.769 0.416 -0.486
H 7.377 -0.836 0.381
C -2.499 0.617 5.355
S -2.583 2.438 4.843
O -3.930 2.949 5.241
C -1.513 2.877 6.217
H -3.424 0.191 4.966
H -2.359 0.436 6.420
H -1.728 0.169 4.727
H -1.991 2.472 7.110
H -1.629 3.954 6.331
H -0.502 2.479 6.301
C 0.356 4.795 4.315
S -0.581 6.004 3.238
O 0.188 7.331 3.389
C 0.040 5.216 1.642
H 0.101 3.766 4.059
H 0.126 5.095 5.338
H 1.381 4.973 3.992
H -0.661 4.402 1.456
H 1.067 4.890 1.805
H -0.003 5.939 0.827
C 1.644 -0.277 4.976
S 2.736 1.136 5.598
O 3.732 0.422 6.507
C 3.813 1.407 4.130
H 2.398 -1.030 4.749
H 1.132 -0.298 4.014
H 0.968 -0.639 5.751
H 3.249 2.010 3.419
H 4.049 0.444 3.677
H 4.719 1.884 4.503
C -1.225 -5.642 -2.123
S -2.436 -4.806 -3.243
O -3.405 -5.929 -3.643
C -3.359 -3.808 -1.957
H -0.614 -6.402 -2.611
H -1.696 -6.092 -1.250
H -0.503 -4.903 -1.776
H -3.814 -4.459 -1.210
H -4.163 -3.166 -2.316
H -2.664 -3.170 -1.410
C 4.815 -3.031 4.479
S 4.749 -3.602 2.727
O 4.086 -2.606 1.783
C 6.573 -3.531 2.513
H 5.614 -3.660 4.871
H 3.855 -3.324 4.903
H 5.020 -1.967 4.596
H 7.144 -2.663 2.842
H 6.703 -3.606 1.433
H 6.915 -4.490 2.903
C 0.178 -1.887 -3.189
S 1.882 -1.420 -3.829
O 2.676 -1.125 -2.572
C 2.579 -3.084 -4.216
H -0.656 -1.189 -3.262
H 0.289 -2.199 -2.151
H -0.049 -2.814 -3.714
H 2.766 -3.607 -3.277
H 3.580 -2.934 -4.620
H 1.902 -3.561 -4.925
C -1.022 -3.073 2.057
S 0.481 -3.798 2.874
O 1.491 -2.638 2.769
C -0.150 -3.643 4.649
H -1.918 -3.578 2.419
H -1.044 -3.221 0.977
H -1.173 -2.010 2.246
H -0.827 -4.479 4.825
H -0.783 -2.770 4.808
H 0.680 -3.624 5.355
C -4.137 3.046 0.784
S -5.371 1.997 1.652
O -6.802 2.498 1.409
C -5.247 0.293 0.880
H -3.113 2.961 1.147
H -4.402 4.095 0.911
H -4.126 2.823 -0.283
H -4.370 -0.297 1.147
H -5.048 0.365 -0.189
H -6.154 -0.261 1.120
C 2.883 3.789 -0.280
S 3.579 2.664 -1.627
O 3.986 1.293 -1.055
C 1.881 2.276 -2.553
H 2.517 4.732 -0.688
H 3.591 4.125 0.478
H 1.920 3.376 0.020
H 1.268 3.129 -2.844
H 1.200 1.758 -1.878
H 2.029 1.580 -3.379
C -3.040 0.769 -2.684
S -4.594 -0.140 -3.360
O -5.199 -0.960 -2.211
C -5.698 1.281 -3.857
H -3.350 1.020 -1.670
H -2.674 1.650 -3.210
H -2.209 0.068 -2.603
H -5.500 2.166 -3.252
H -6.750 1.052 -3.688
H -5.568 1.601 -4.891
C -5.158 -4.035 1.272
S -6.251 -4.843 0.025
O -7.190 -5.861 0.542
C -7.206 -3.342 -0.513
H -5.615 -3.698 2.203
=====

Recently, I updated version of pytorch on my env from 1.x to 2.0. I think it’s worth to update because, original site says…. PYTORCH 2.X: FASTER, MORE PYTHONIC AND AS DYNAMIC AS EVER Today, we announce torch.compile, a feature that pushes PyTorch performance to new heights and starts the move for parts of PyTorch from C++Continue reading “Make QSAR model with PyG and pytorch2.0 #RDKit #Chemoinfo”

Generate molecules with Link-invent #RDKit #RINVENT #chemoinformatics

General molecular generator with deep learning approach is difficult to fix substructure. But common SAR expansion by medchem is focus on specific part such as terminal part, core and linker. Linker is defined as a part which connect parts of molecules. Linker is important of drug design and is called scaffold when the linker connetsContinue reading “Generate molecules with Link-invent #RDKit #RINVENT #chemoinformatics”

Compound Generator with Graph Networks, GraphINVENT take2 #chemoinformatics #RDKit #PyTorch

I posted about graph based compound generator named ‘GraphINVENT’ some days ago. Fortunately I could get response from author and could get useful information about their model. The hyperparameter of the model is very important and difficult to optimize but I could get suitable learning rate to train the GDB-13 small set. I changedContinue reading “Compound Generator with Graph Networks, GraphINVENT take2 #chemoinformatics #RDKit #PyTorch”

Compound Generator with Graph Networks, GraphINVENT #chemoinformatics #RDKit #PyTorch

Here is a new article from Esben et. al. about de novo compound generator with graph network which is named GraphINVENT. Graph based approach has advantage for compound generation compared to SMILES based approach. It doesn’t need to learn grammar of SMILES. Graph approach represents molecule as graph, atom is node and bond is edge.Continue reading “Compound Generator with Graph Networks, GraphINVENT #chemoinformatics #RDKit #PyTorch”

Replace core with DeLinker #RDKit #Chemoinformatics #DeepLearning

In the FBDD projects, fragment linking strategy is very easy to understand about the strategy but it is difficult to linking two fragments in the real world I think. There are many tools for linking fragments in virtually. These tools are used not only be applied to FBDD but also scaffold hopping etc. There areContinue reading “Replace core with DeLinker #RDKit #Chemoinformatics #DeepLearning”

Example code of DGL for chemoinformatics task #DGL #chemoinformatics #RDKit #memo

There are many publications about graph based approach for chemoinformatics area. I can’t cover all of them but still have interest these area. I think pytorch_geometric (PyG) and deep graph library (DGL) are very attractive and useful package for chemoinformaticians. I wrote some posts about DGL and PyG. Recent DGL is more chemoinformatics friendly soContinue reading “Example code of DGL for chemoinformatics task #DGL #chemoinformatics #RDKit #memo”

Particle Swarm Optimization for molecular design #RDKit #Chemoinformatics

I participated RDKit UGM last week. It was worth to go I think. And in the meeting I got useful information for de novo molecular design. You can find the slide deck following URL. They used Particle Swarm Optimization(PSO) for de novo molecular design. PSO is very simple method for parameter optimization. Details areContinue reading “Particle Swarm Optimization for molecular design #RDKit #Chemoinformatics”

Transfer learning of DGMG for focused library gegneration #DGL #Chemoinformatics

**Next to the article, the page also holds quantum chemistry results:**
<<<
(1)
Molecular formula: C30H43BrCoN2P2S
Method: DFT, wB97M-V/def2-TZVPD

The geometry in XYZ format:
```
80
Properties=species:S:1:pos:R:3:lowdin_spin:R:1
C 3.40677 -1.02204 -3.57209 0.000
C 3.02316 -0.03685 -2.65074 -0.001
C 3.21511 1.31804 -3.01342 0.001
C 3.70042 1.60131 -4.29896 0.000
N 4.00857 0.64372 -5.16139 0.001
C 3.88355 -0.63231 -4.82495 0.000
C 2.47408 -0.48300 -1.35903 0.000
C 2.42059 -1.29685 -0.40712 0.011
C 2.55974 -1.55283 1.01099 -0.015
C 1.59919 -2.09075 1.88660 0.026
C 1.48466 -1.59445 3.22851 -0.018
C 2.45652 -0.52485 3.45053 0.028
C 3.68238 -0.38480 2.83877 -0.013
C 3.75376 -1.03222 1.59187 0.007
Co 0.34267 -0.09807 3.19447 1.903
P -0.90643 -0.23749 -1.10290 0.482
H 3.00288 2.14422 -2.32125 0.000
H 3.33125 -2.07804 -3.32226 0.000
H 3.83546 2.63044 -4.63374 0.000
H 4.16648 -1.37554 -5.57252 0.000
H 4.68702 -1.12652 1.05026 0.000
H 1.11317 -3.06258 1.74577 0.001
H 4.52565 0.11764 3.28820 -0.001
H 1.04884 -2.15239 4.09260 0.001
C -2.77639 -0.24816 -1.12069 0.056
C -3.52199 0.30775 -2.34006 0.022
H -3.07411 0.30278 -0.21499 0.002
H -3.08215 -1.28930 -0.93371 0.000
H -4.60613 0.24172 -2.16288 0.005
H -3.28480 1.36304 -2.52053 0.001
H -3.31777 -0.27236 -3.25023 0.000
C -0.50560 1.30147 -2.10883 0.051
C -0.26448 1.19184 -3.61391 0.016
H 0.41395 1.66915 -1.62067 0.003
H -1.27805 2.06613 -1.91941 0.001
H 0.06783 2.17196 -3.99838 0.004
H 0.53154 0.47093 -3.84051 0.001
H -1.17974 0.93258 -4.16817 0.000
C -0.53018 -1.65434 -2.22656 0.068
C -1.42625 -1.90084 -3.43576 0.026
H -0.56201 -2.54261 -1.58452 0.003
H 0.52329 -1.56981 -2.50738 -0.001
H -1.05670 -2.75332 -4.01975 0.006
H -2.44690 -2.13796 -3.12395 0.001
H -1.44475 -1.04382 -4.11391 0.000
Br 1.66725 0.87208 4.90259 0.043
P -0.41354 1.81762 1.78336 0.139
C -1.52501 2.77836 0.71907 0.010
C -2.28847 3.91324 1.38437 0.004
H -2.23806 2.05884 0.28218 0.000
H -0.90893 3.17307 -0.09665 0.000
H -2.85635 4.43865 0.61418 0.001
H -3.01275 3.55338 2.12345 0.000
H -1.63651 4.64861 1.86353 0.000
C -1.28230 1.72663 3.41151 0.039
C -1.08075 2.87898 4.40080 0.011
H -0.98776 0.77935 4.00141 0.006
H -2.35616 1.58498 3.18831 0.000
H -1.69745 2.63912 5.28413 0.002
H -0.03660 2.93817 4.74504 0.000
H -1.40165 3.83504 3.96519 0.001
C 1.19488 2.70703 1.88931 0.016
C 1.19364 4.22347 2.07922 0.007
H 1.75267 2.41985 0.97405 0.001
H 1.74119 2.26572 2.74858 0.000
H 2.24981 4.51808 2.19399 0.002
H 0.77882 4.78549 1.22602 0.000
H 0.67428 4.52687 3.00400 0.000
S -1.77110 -1.74255 2.49687 0.030
C -1.74784 -3.21900 1.66092 0.005
N -2.76567 -4.13377 1.89479 0.002
C -2.79996 -5.38827 1.38512 0.000
C -1.78382 -5.79923 0.54881 0.000
C -0.78066 -4.88359 0.19291 0.000
C -0.83090 -3.57764 0.66544 0.002
H -3.53312 -3.81043 2.49952 0.001
H -3.63840 -6.02411 1.66833 0.000
H -1.77411 -6.81657 0.13606 0.000
H 0.05156 -5.17848 -0.47008 0.000
H -0.15032 -2.78964 0.32024 0.004
```

Computed properties:
Multiplicity: 4
Net charge: +2
Gap between HOMO and LUMO (spin up / spin down) (eV): 7.271 / 4.711
E (eV): -171849.1723

(2)
>>>

Transfer learning is very useful method in deeplearning. Because it can use pre trained model and can re train with few parameters. I think it is useful for molecular generator too. If it is useful for the generator, it can use for focused library generation. I posted about DGL molecular generation. So I tried toContinue reading “Transfer learning of DGMG for focused library gegneration #DGL #Chemoinformatics”

Molecular encoder/decoder (VAE) with python3.x (not new topic) #rdkit #chemoinformatics

The first day of 10-day holiday is rainy. And I and my kid will go to dodge ball tournament. Two years ago, I tried to modify the keras-molecule which is code of molecular encoder decoder. The code is written for python 2.x. So I would like to run the code on python 3.6. I stoppedContinue reading “Molecular encoder/decoder (VAE) with python3.x (not new topic) #rdkit #chemoinformatics”

Try GCN QSPR with pytorch based graph library #RDKit #Pytorch #dgl

Recently many machine learning articles use pytorch for their implementation. And I found very attractive package for graph based deep learning, named ‘DGL;Deep Graph Library’. The package supports pytorch and mxnet for backend. The author provides not only package but also very nice documentation. I read the document and try GCN for QSPR with DGL.Continue reading “Try GCN QSPR with pytorch based graph library #RDKit #Pytorch #dgl”

mol encoder with Pytorch

Variable Auto Encoder (VAE) is unique method that is used for learning latent representations. VAE encodes discriminative vector to continuous vector in latent space. There are lots of examples in github. In 2016, Alán Aspuru-Guzik reported new de novo design method by using VAE. The approach represents molecules as SMLIES and SMILES strings are convertedContinue reading “mol encoder with Pytorch”

The page is interrupted by data records.
=====
1.
The following is a quantum chemistry calculation of a structure of composition C34H51BBrN10OPb, from OMol25.

XYZ file:
```
99
Properties=species:S:1:pos:R:3:forces:R:3
Pb 0.3046 0.2942 0.2295 -0.284 -0.077 -0.088
C -1.1336 -2.0070 2.9918 0.097 0.109 0.029
C 0.3509 -1.8567 3.0338 0.095 -0.014 0.021
C 1.2676 -2.4604 3.9025 -0.028 0.015 -0.033
C 2.4946 -1.9045 3.5910 -0.106 -0.122 0.044
C 3.8234 -2.1796 4.2116 -0.019 0.093 -0.051
N 2.3025 -1.0294 2.5841 0.162 0.045 0.120
N 0.9901 -1.0042 2.2369 0.021 -0.110 0.036
B 3.2923 0.0178 2.0352 -0.295 0.065 -0.062
N 3.5811 -0.2294 0.5393 0.129 -0.128 0.067
N 2.5881 -0.2363 -0.3830 -0.081 0.207 0.058
C 3.1416 -0.4791 -1.5694 0.083 -0.074 -0.026
C 2.3338 -0.5553 -2.8238 0.066 0.064 0.133
C 4.5184 -0.6532 -1.4104 -0.056 0.070 -0.013
C 4.7595 -0.4863 -0.0569 -0.009 -0.005 -0.163
C 6.0630 -0.5562 0.6661 -0.091 0.013 0.035
N 2.6683 1.4347 2.2151 0.155 -0.086 0.212
N 1.4440 1.7709 1.7315 0.104 0.026 -0.106
C 1.1650 3.0027 2.1513 0.005 0.107 0.088
C -0.1246 3.6804 1.8173 0.181 -0.108 -0.080
C 2.2245 3.4771 2.9282 0.024 -0.068 -0.028
C 3.1562 2.4524 2.9486 -0.068 0.214 -0.023
C 4.4852 2.4373 3.6270 -0.049 -0.083 -0.016
H -1.4348 -3.0112 3.2865 -0.021 -0.001 -0.030
H -1.5946 -1.3039 3.6896 -0.027 -0.020 -0.012
H -1.5118 -1.8023 1.9913 -0.081 -0.039 -0.001
H 1.0606 -3.1978 4.6600 0.020 0.010 -0.001
H 3.7163 -2.9588 4.9626 0.010 -0.004 0.006
H 4.5483 -2.5133 3.4685 0.005 0.003 0.013
H 4.2241 -1.2872 4.6937 0.027 -0.030 0.009
H 4.3094 -0.0370 2.6482 0.057 0.005 -0.019
H 1.2677 -0.5784 -2.5952 -0.002 -0.036 -0.072
H 2.5471 0.2902 -3.4831 -0.008 -0.007 -0.006
H 2.5863 -1.4629 -3.3716 -0.076 -0.017 -0.024
H 5.2413 -0.8700 -2.1789 0.006 -0.007 0.026
H 6.8556 -0.7761 -0.0453 0.015 0.001 0.008
H 6.2908 0.3898 1.1578 0.024 -0.020 0.010
H 6.0544 -1.3362 1.4274 0.014 0.013 0.005
H -0.6986 3.0846 1.1051 -0.023 0.078 0.076
H -0.7220 3.8124 2.7201 -0.053 -0.010 -0.012
H 0.0566 4.6699 1.3969 0.001 0.021 -0.012
H 2.3021 4.4337 3.4170 0.007 -0.011 -0.006
H 4.6703 3.4143 4.0673 0.022 0.000 0.002
H 4.5192 1.6911 4.4213 0.010 -0.004 -0.013
H 5.2862 2.2144 2.9226 0.016 0.007 0.025
N 1.2003 2.3498 -1.2699 -0.172 0.097 -0.044
C 0.2582 3.2371 -1.9683 0.060 -0.041 -0.107
C -0.6307 2.4041 -2.8822 0.073 0.025 0.184
N -1.4488 1.4667 -2.1240 -0.140 -0.006 0.093
C -2.8450 1.8563 -1.9338 0.010 0.020 0.078
C -3.1217 2.7611 -0.7355 0.078 -0.103 -0.018
N -2.7811 2.1128 0.5297 0.222 -0.194 -0.167
H 1.7983 1.8912 -1.9504 0.121 0.076 0.060
H 1.7983 2.8776 -0.6430 0.067 -0.066 -0.001
H -0.3520 3.7574 -1.2292 0.059 -0.028 0.036
H 0.7829 3.9915 -2.5638 -0.046 0.041 0.002
H -1.2546 3.0681 -3.4912 0.030 0.022 -0.039
H 0.0262 1.8585 -3.5675 -0.104 -0.060 -0.034
H -1.4032 0.5334 -2.5032 0.010 0.012 -0.101
H -3.2278 2.3754 -2.8221 -0.066 -0.060 -0.047
H -3.4346 0.9436 -1.8081 0.020 -0.015 -0.017
H -2.5351 3.6795 -0.8164 -0.028 0.031 -0.016
H -4.1787 3.0473 -0.7940 0.016 0.057 -0.028
H -3.0447 2.6917 1.3165 -0.067 -0.042 0.024
=====

Build QSAR model with pytorch and rdkit #RDKit

There are many frameworks in python deeplearning. For example chainer, Keras, Theano, Tensorflow and pytorch. I have tried Keras, Chainer and Tensorflow for QSAR modeling. And I tried to build QSAR model by using pytorch and RDKit. You know, pytorch has Dynamic Neural Networks “Define-by-Run” like chainer. I used solubility data that is provided fromContinue reading “Build QSAR model with pytorch and rdkit #RDKit”

Can machine learn important feature from SMILES?

Today I found challenging article in arxiv. It describes about SMILES2Vec. You know word2vec is very attractive and major application for ML area and SMILES2Vec has same concept. It converts smiles to vector and learn which character is important. The author use “black box” models for building model. I am not sure about “blackContinue reading “Can machine learn important feature from SMILES?”

molecule encoder/decoder in deepchem #rdkit #deepchem

Today I updated deepchem in my mac. It was easy to install new version of deepchem on Mac. That’s all. ;-) New version of deepchem is implemented MoleculeVAE. MoeculeVAE generates new molecules by using pre defined model. Deepchem can use pre defined model that was trained with Zinc Dataset. OK let’s run the code. IContinue reading “molecule encoder/decoder in deepchem #rdkit #deepchem”

Graph convolution classification with deepchem

I posted about graph convolution regression using deepchem. And today, I tried graph convolution classification using deepchem. Code is almost same as regression model. The only a difference point is use dc.models.MultitaskGraphClassifier instead of dc.models.MultitaskGraphRegressor. I got sample ( JAK3 inhibitor ) data from chembl and tried to make model. At first I used pandasContinue reading “Graph convolution classification with deepchem”

Build regression model in Keras

I introduced Keras in mishimasyk#9. And my presentation was how to build classification model in Keras. A participant asked me that how to build regression model in Keras. I could not answer his question. After syk#9, I searched Keras API and found good method. Keras has Scikit-learn API. The API can build regression model. ;-)Continue reading “Build regression model in Keras”

RemoteMonitor in keras

There are several packages to perform deep learning in python. And my favorite one is keras. Today, I found new function in keras.callbacks named RemoteMonitor. The function provide real time visualization of learning. So, I wrote very simple example using IRIS dataset. At first to use RemoteMonitor, I need clone api from following URL.Continue reading “RemoteMonitor in keras”

Use convolution2D in QSAR.

Recently there are lots of report about deep learning to predict biological activity(QSAR). I think almost of these predictors use MLP. I wonder if I could use another method like 2DCNN, I could get good predictor. So, I tried to build 2DCNN QSAR model. Fortunately, 1024 bit fingerprint is easily convert to 2D 32 xContinue reading “Use convolution2D in QSAR.”

Callback function of keras.

I’m still building QSAR models using deep learning. And I thought I got problem of over fitting. :-) Training error was decreasing but, validation error was increasing depend on number of epochs. :-/ It seems over fitting and I could not avoid the event even if I used drop out function. Tried lots of learningContinue reading “Callback function of keras.”

New library for deep learning

Deep learning is old but new technology of machine learning. I have been interested in this technology however it was difficult to optimise lots of parameters. I posted on my blog about python library named ‘chainer’ before. Chainer is one of flexible frame work for NN. And somedays ago, I found new library named ‘keras’Continue reading “New library for deep learning”